**Listing:**
Entry from Alexandria via LeMat-Bulk: a relaxed structure of PaNb2MoC4 (PBE).

Cell and atoms, written as POSCAR:
```
PaNb2MoC4
1.0
1.634 -5.724 0.000
1.634 5.724 0.000
0.000 0.000 11.191
Pa Nb Mo C
2 4 2 8
Direct
0.118 0.882 0.750 Pa
0.882 0.118 0.250 Pa
0.372 0.628 0.536 Nb
0.372 0.628 0.964 Nb
0.628 0.372 0.036 Nb
0.628 0.372 0.464 Nb
0.147 0.853 0.250 Mo
0.853 0.147 0.750 Mo
0.000 0.000 0.000 C
0.000 0.000 0.500 C
0.264 0.736 0.116 C
0.264 0.736 0.384 C
0.460 0.540 0.750 C
0.540 0.460 0.250 C
0.736 0.264 0.616 C
0.736 0.264 0.884 C
```

Calculated values
Symmetry: Cmcm
Theoretical density: 8.90 g/cm3
ΔE_f: -224.5 meV per atom

=====

No. 1
DFT (GGA-PBE) results for a relaxed Ho8Th3 crystal.

abc: 7.940 7.940 7.940
angles: 66.30 66.30 66.30
Atoms (fractional coordinates):
Ho  0.073  0.073  0.073
Ho  0.241  0.245  0.625
Ho  0.245  0.625  0.241
Ho  0.375  0.759  0.755
Ho  0.625  0.241  0.245
Ho  0.755  0.375  0.759
Ho  0.759  0.755  0.375
Ho  0.927  0.927  0.927
Th  0.000  0.000  0.500
Th  0.000  0.500  0.000
Th  0.500  0.000  0.000

The space group is R-3 (148). Its total DFT energy (no corrections) is -4.66 eV/atom. Its energy relative to the lowest polymorph listed for this composition is 213 meV/atom. The formation energy is 7.587 eV/f.u.

---

No. 2
DFT (GGA-PBE) results for a relaxed Tb5IrAu4 crystal.

abc: 3.569 3.569 18.041
angles: 90.00 90.00 90.00
Atoms (fractional coordinates):
Tb  0.000  0.000  0.000
Tb  0.000  0.000  0.205
Tb  0.000  0.000  0.409
Tb  0.000  0.000  0.591
Tb  0.000  0.000  0.795
Ir  0.500  0.500  0.500
Au  0.500  0.500  0.101
Au  0.500  0.500  0.304
Au  0.500  0.500  0.696
Au  0.500  0.500  0.899

The space group is P4/mmm (123). Its total DFT energy (no corrections) is -5.35 eV/atom. The formation energy is -8.392 eV/f.u.

---

No. 3
DFT (GGA-PBE) results for a relaxed LaTa crystal.

abc: 5.235 5.235 6.151
angles: 90.00 90.00 120.00
Atoms (fractional coordinates):
La  0.333  0.667  0.250
La  0.667  0.333  0.750
Ta  0.333  0.667  0.750
Ta  0.667  0.333  0.250

The space group is P6_3/mmc (194). Its total DFT energy (no corrections) is -6.30 eV/atom. Its energy relative to the lowest polymorph listed for this composition is 1808 meV/atom. The formation energy is 4.175 eV/f.u.

=====

The following is a PBE-GGA calculation of a relaxed SbTe2MoN crystal, from the Alexandria database.

Geometry as extended XYZ:
```
5
Lattice="4.728 0.000 0.000 0.000 4.728 0.000 0.000 0.000 4.639" Properties=species:S:1:pos:R:3 pbc="T T T"
Sb 0.000 0.000 0.000
Te 0.000 2.364 2.319
Te 2.364 0.000 2.319
Mo 2.364 2.364 0.000
N 0.000 0.000 2.319
```

## Properties
DOS at the Fermi energy: 2.6 states/eV/cell
SG: P4/mmm
V: 103.7 Å³ per cell
VASP energy: -4.935 eV/atom
formation energy without anion corrections: 0.977 eV/atom
ΔE to the lowest computed polymorph: 736 meV per atom
theoretical density: 7.8 g/cm3

=====

! Y2AlRu2, relaxed, DFT GGA-PBE; values from VASP
&SYSTEM
  ibrav = 0, nat = 10, ntyp = 3
/
ATOMIC_SPECIES
Ru 101.07 Ru.upf
Al 26.98 Al.upf
Y 88.91 Y.upf
ATOMIC_POSITIONS angstrom
Ru 5.8887 4.3234 0.0000
Ru 0.9194 2.4847 0.0000
Ru 4.3234 0.9194 0.0000
Ru 2.4847 5.8887 0.0000
Al 3.4041 3.4041 0.0000
Al 0.0000 0.0000 0.0000
Y 5.6093 2.2052 2.1760
Y 4.6029 5.6093 2.1760
Y 1.1988 4.6029 2.1760
Y 2.2052 1.1988 2.1760
CELL_PARAMETERS angstrom
6.8081 0.0000 0.0000
0.0000 6.8081 0.0000
0.0000 0.0000 4.3519
! Uncorrected energy, eV/atom: -7.4898
! Symmetry: P4/mbm (127)
! E_form, eV/atom: -0.445
! Calculated volume, Å³ per atom: 20.17

---

! YAl11Ru, relaxed, DFT GGA-PBE; values from VASP
&SYSTEM
  ibrav = 0, nat = 13, ntyp = 3
/
ATOMIC_SPECIES
Y 88.91 Y.upf
Al 26.98 Al.upf
Ru 101.07 Ru.upf
ATOMIC_POSITIONS angstrom
Y 0.0000 0.0000 0.0000
Al 1.6654 -2.3736 4.0909
Al 3.7655 -6.3042 0.6486
Al 2.0624 -0.2088 2.7090
Al 5.9289 -7.4797 4.3158
Al 1.6251 -2.4891 1.3950
Al 3.4279 -6.4178 5.3706
Al 3.7885 -3.6646 5.0622
Al 2.4457 -4.7859 2.7576
Al 5.1083 -5.1828 2.9533
Al 4.1261 -3.5509 0.3403
Al 2.1116 -2.6107 -1.2355

**Brief:**
Next, write out only the lines above with the word "is" in them.

**Reply:**
The space group is R-3 (148). Its total DFT energy (no corrections) is -4.66 eV/atom. Its energy relative to the lowest polymorph listed for this composition is 213 meV/atom. The formation energy is 7.587 eV/f.u.
The space group is P4/mmm (123). Its total DFT energy (no corrections) is -5.35 eV/atom. The formation energy is -8.392 eV/f.u.
The space group is P6_3/mmc (194). Its total DFT energy (no corrections) is -6.30 eV/atom. Its energy relative to the lowest polymorph listed for this composition is 1808 meV/atom. The formation energy is 4.175 eV/f.u.
The following is a PBE-GGA calculation of a relaxed SbTe2MoN crystal, from the Alexandria database.